• Wanted:
It remains to find "_cell_length_a 5.0786" and "_cell_length_b 5.4041" in the listing further down, and set down these two lines and those between.
• Given:
____________
Record 1
The following is a computed powder diffractogram of Li3MnSiBO7. It was derived from a structure optimized by DFT (PBE+U), using Cu Kα, 1.54184 Å.

Cell and atoms:
```
data_Li3MnSiBO7
_chemical_formula_sum 'Li6 Mn2 Si2 B2 O14'
_cell_length_a 5.0786
_cell_length_b 6.2795
_cell_length_c 8.3388
_cell_angle_alpha 90.00
_cell_angle_beta 95.61
_cell_angle_gamma 90.00
_symmetry_space_group_name_H-M 'P 1 21/m 1'
_symmetry_Int_Tables_number 11
loop_
_symmetry_equiv_pos_as_xyz
'x,y,z'
'-x,-y,-z'
'-x,y+1/2,-z'
'x,-y+1/2,z'
loop_
_atom_site_label
_atom_site_type_symbol
_atom_site_fract_x
_atom_site_fract_y
_atom_site_fract_z
Li1 Li 0.2416 0.2500 0.1040
Li2 Li 0.2509 0.0003 0.7523
Mn1 Mn 0.2039 0.7500 0.3191
Si1 Si 0.2735 0.2500 0.4284
B1 B 0.2891 0.7500 0.0398
O1 O 0.0334 0.7500 0.0896
O2 O 0.1341 0.2500 0.5958
O3 O 0.1805 0.0541 0.3036
O4 O 0.3576 0.7500 0.8883
O5 O 0.4032 0.7500 0.5256
O6 O 0.4784 0.7500 0.1754
```

The 10 most intense peaks (10° ≤ 2θ ≤ 90°), low angle first:
Position (°2θ)  I/Imax
10.66  886
17.71  658
19.65  507
21.46  647
25.77  281
26.42  422
28.43  1000
35.49  295
36.13  255
41.29  207

***

Record 2
The following is a computed powder diffractogram of Mn5In3O12. It was derived from a structure optimized by DFT (PBE+U), using Cu Kα, 1.54184 Å.

Cell and atoms:
```
data_Mn5In3O12
_chemical_formula_sum 'Mn5 In3 O12'
_cell_length_a 5.2106
_cell_length_b 5.4041
_cell_length_c 7.9389
_cell_angle_alpha 89.68
_cell_angle_beta 88.19
_cell_angle_gamma 89.49
_symmetry_space_group_name_H-M 'P 1'
_symmetry_Int_Tables_number 1
loop_
_symmetry_equiv_pos_as_xyz
'x,y,z'
loop_
_atom_site_label
_atom_site_type_symbol
_atom_site_fract_x
_atom_site_fract_y
_atom_site_fract_z
Mn1 Mn 0.0000 0.0000 0.0000
Mn2 Mn 0.0014 0.9988 0.5076
Mn3 Mn 0.0172 0.4462 0.7685
Mn4 Mn 0.4967 0.4984 0.0013
Mn5 Mn 0.4987 0.4998 0.5092
In1 In 0.4798 0.9412 0.7438
In2 In 0.5207 0.0593 0.2666
In3 In 0.9768 0.5575 0.2396
O1 O 0.1272 0.9341 0.2729
O2 O 0.1851 0.6902 0.9494
O3 O 0.1954 0.6997 0.5896
O4 O 0.3019 0.1903 0.9249
O5 O 0.3131 0.1903 0.5555
O6 O 0.3709 0.4360 0.2375
O7 O 0.6258 0.5640 0.7719
O8 O 0.6941 0.8012 0.4483
O9 O 0.7000 0.8035 0.0868
O10 O 0.8015 0.2990 0.4221
O11 O 0.8039 0.3005 0.0628
O12 O 0.8725 0.0672 0.7371
```

The 10 most intense peaks (10° ≤ 2θ ≤ 90°), low angle first:
Position (°2θ)  I/Imax
32.34  626
32.62  640
33.20  1000
33.26  575
34.44  469
45.74  324
48.32  279
48.78  228
57.50  242
59.47  161

***

Record 3
The following is a computed powder diffractogram of Li2Mn4O7F. It was derived from a structure optimized by DFT (PBE+U), using Cu Kα, 1.54184 Å.

Cell and atoms:
```
data_Li2Mn4O7F
_chemical_formula_sum 'Li4 Mn8 O14 F2'
_cell_length_a 10.1213
_cell_length_b 6.1051
_cell_length_c 5.9742
_cell_angle_alpha 90.00
_cell_angle_beta 125.43
_cell_angle_gamma 90.00
_symmetry_space_group_name_H-M 'C 1 m 1'
_symmetry_Int_Tables_number 8
loop_
_symmetry_equiv_pos_as_xyz
'x,y,z'
'x,-y,z'
'x+1/2,y+1/2,z'
'x+1/2,-y+1/2,z'
loop_
_atom_site_label
_atom_site_type_symbol
_atom_site_fract_x
_atom_site_fract_y
_atom_site_fract_z
Li1 Li 0.0000 0.0000 0.0000
Li2 Li 0.1147 0.5000 0.8637
Mn1 Mn 0.1168 0.5000 0.3571
Mn2 Mn 0.2298 0.0000 0.7237
Mn3 Mn 0.3636 0.2442 0.3710
O1 O 0.0974 0.2750 0.5771
O2 O 0.1341 0.2761 0.1493
O3 O 0.3569 0.5000 0.5756
O4 O 0.3681 0.0000 0.5896
O5 O 0.3756 0.0000 0.1418
F1 F 0.3627 0.5000 0.1231
```

The 10 most intense peaks (10° ≤ 2θ ≤ 90°), low angle first:
Position (°2θ)  I/Imax
18.22  1000
20.80  281
29.97  482
34.81  624
35.81  229
36.14  287
42.34  471
56.16  239
62.32  262
62.96  274

***

Record 4
The following is a computed powder diffractogram of MnP5O15. It was derived from a structure optimized by DFT (PBE+U), using Cu Kα, 1.54184 Å.

Cell and atoms:
```
data_MnP5O15
_chemical_formula_sum 'Mn2 P10 O30'
_cell_length_a 5.0399
_cell_length_b 13.6938
_cell_length_c 9.0602
_cell_angle_alpha 90.00
_cell_angle_beta 101.72
_cell_angle_gamma 90.00
_symmetry_space_group_name_H-M 'P 1 21/m 1'
____________
• Completed:
_cell_length_a 5.0786
_cell_length_b 6.2795
_cell_length_c 8.3388
_cell_angle_alpha 90.00
_cell_angle_beta 95.61
_cell_angle_gamma 90.00
_symmetry_space_group_name_H-M 'P 1 21/m 1'
_symmetry_Int_Tables_number 11
loop_
_symmetry_equiv_pos_as_xyz
'x,y,z'
'-x,-y,-z'
'-x,y+1/2,-z'
'x,-y+1/2,z'
loop_
_atom_site_label
_atom_site_type_symbol
_atom_site_fract_x
_atom_site_fract_y
_atom_site_fract_z
Li1 Li 0.2416 0.2500 0.1040
Li2 Li 0.2509 0.0003 0.7523
Mn1 Mn 0.2039 0.7500 0.3191
Si1 Si 0.2735 0.2500 0.4284
B1 B 0.2891 0.7500 0.0398
O1 O 0.0334 0.7500 0.0896
O2 O 0.1341 0.2500 0.5958
O3 O 0.1805 0.0541 0.3036
O4 O 0.3576 0.7500 0.8883
O5 O 0.4032 0.7500 0.5256
O6 O 0.4784 0.7500 0.1754
```

The 10 most intense peaks (10° ≤ 2θ ≤ 90°), low angle first:
Position (°2θ)  I/Imax
10.66  886
17.71  658
19.65  507
21.46  647
25.77  281
26.42  422
28.43  1000
35.49  295
36.13  255
41.29  207

***

Record 2
The following is a computed powder diffractogram of Mn5In3O12. It was derived from a structure optimized by DFT (PBE+U), using Cu Kα, 1.54184 Å.

Cell and atoms:
```
data_Mn5In3O12
_chemical_formula_sum 'Mn5 In3 O12'
_cell_length_a 5.2106
_cell_length_b 5.4041